-- begin --
Hf2CuRe: optimized geometry, PBE.

Results
E_tot   -9.2996 eV/atom
Formation energy   -0.2870 eV per atom
Calculated volume   17.34 Å³/atom
Space-group type   P4/mmm

a = 3.297 Å, b = 3.297 Å, c = 6.381 Å
α = 90.00°, β = 90.00°, γ = 90.00°
Element x y z (fractional)
Re  0.000  0.000  0.000
Cu  0.000  0.000  0.500
Hf  0.500  0.500  0.245
Hf  0.500  0.500  0.755

----------

{"formula": "IrOsRu2", "functional": "PBEsol", "state": "optimized geometry", "lattice_angstrom": [[2.681, 0.000, 0.000], [0.000, 3.799, 0.000], [0.000, 0.000, 5.364]], "species": ["Ir", "Ru", "Os", "Ru"], "fractional_positions": [[0.000, 0.000, 0.499], [0.000, 0.000, 0.001], [0.500, 0.500, 0.754], [0.500, 0.500, 0.246]], "polymorph_energy_mev_per_atom": 10, "volume_a3_per_atom": 13.66, "ef_ev_per_atom": 0.045, "magmom_total_mub_per_fu": 0.000, "final_energy_ev_per_fu": -42.2}

=====

{"formula": "NdSiPd", "functional": "PBEsol", "state": "optimized geometry", "lattice_angstrom": [[-3.976, -1.407, 1.131], [0.879, -5.825, -4.161], [2.934, -3.666, 5.752]], "species": ["Pd", "Pd", "Si", "Nd", "Pd", "Si", "Pd", "Nd", "Nd", "Nd", "Si", "Si"], "fractional_positions": [[0.250, 0.687, 0.584], [0.250, 0.187, 0.916], [0.750, 0.688, 0.411], [0.750, 0.005, 0.696], [0.750, 0.313, 0.416], [0.250, 0.812, 0.911], [0.750, 0.813, 0.084], [0.750, 0.505, 0.804], [0.250, 0.495, 0.196], [0.250, 0.995, 0.304], [0.750, 0.188, 0.089], [0.250, 0.312, 0.589]], "volume_a3_per_atom": 19.49, "e_form_raw_ev_per_fu": -2.8, "magmom_total_mub_per_fu": 0.000, "final_energy_ev_per_fu": -19.7}

----------

1.
{"formula": "PrPaTeSe", "functional": "PBE", "state": "optimized geometry", "space_group": "F-43m (216)", "mass_density_g_cm3": 9.368, "total_energy_ev_per_cell": -25.06, "e_form_raw_mev_per_atom": -1038.5, "lattice": [[0.000, 3.715, 3.715], [3.715, 0.000, 3.715], [3.715, 3.715, 0.000]], "species": ["Pr", "Pa", "Te", "Se"], "fractional_positions": [[0.000, 0.000, 0.000], [0.500, 0.500, 0.500], [0.750, 0.750, 0.750], [0.250, 0.250, 0.250]]}

---

2.
{"formula": "KSi2Hg", "functional": "PBE", "state": "optimized geometry", "space_group": "Cmmm (65)", "mass_density_g_cm3": 5.485, "total_energy_ev_per_cell": -9.99, "e_form_raw_mev_per_atom": 562.6, "lattice": [[3.067, -5.161, 0.000], [3.067, 5.161, 0.000], [0.000, 0.000, 2.830]], "species": ["K", "Si", "Si", "Hg"], "fractional_positions": [[0.000, 0.000, 0.000], [0.000, 0.500, 0.500], [0.500, 0.000, 0.500], [0.500, 0.500, 0.000]]}

---

3.
{"formula": "Hf2TiBiB", "functional": "PBE", "state": "optimized geometry", "space_group": "P4/mmm (123)", "mass_density_g_cm3": 10.931, "ef_mev_per_atom": -227, "total_energy_ev_per_cell": -39.50, "lattice": [[4.658, 0.000, 0.000], [0.000, 4.658, 0.000], [0.000, 0.000, 4.372]], "species": ["Hf", "Hf", "Ti", "Bi", "B"], "fractional_positions": [[0.000, 0.500, 0.000], [0.500, 0.000, 0.000], [0.000, 0.000, 0.500], [0.500, 0.500, 0.500], [0.000, 0.000, 0.000]]}

---

4.
{"formula": "Y6Mn2Cd", "functional": "PBE", "state": "optimized geometry", "space_group": "Immm (71)", "mass_density_g_cm3": 5.378, "ef_mev_per_atom": -26, "total_energy_ev_per_cell": -116.54, "lattice": [[-4.798, 4.865, 4.998], [4.798, -4.865, 4.998], [4.798, 4.865, -4.998]], "species": ["Y", "Y", "Y", "Y", "Y", "Y", "Y", "Y", "Y", "Y", "Y", "Y", "Mn", "Mn", "Mn", "Mn", "Cd", "Cd"], "fractional_positions": [[0.012, 0.228, 0.783], [0.189, 0.286, 0.475], [0.189, 0.714, 0.903], [0.312, 0.020, 0.708], [0.312, 0.604, 0.292], [0.445, 0.228, 0.217], [0.555, 0.772, 0.783], [0.688, 0.396, 0.708], [0.688, 0.980, 0.292], [0.811, 0.286, 0.097], [0.811, 0.714, 0.525], [0.988, 0.772, 0.217], [0.104, 0.604, 0.500], [0.389, 0.000, 0.389], [0.611, 0.000, 0.611], [0.896, 0.396, 0.500], [0.000, 0.000, 0.000], [0.500, 0.500, 0.000]]}

---

5.
-- stop --

Your job: print everything earlier on without additions.

Hf2CuRe: optimized geometry, PBE.

Results
E_tot   -9.2996 eV/atom
Formation energy   -0.2870 eV per atom
Calculated volume   17.34 Å³/atom
Space-group type   P4/mmm

a = 3.297 Å, b = 3.297 Å, c = 6.381 Å
α = 90.00°, β = 90.00°, γ = 90.00°
Element x y z (fractional)
Re  0.000  0.000  0.000
Cu  0.000  0.000  0.500
Hf  0.500  0.500  0.245
Hf  0.500  0.500  0.755

----------

{"formula": "IrOsRu2", "functional": "PBEsol", "state": "optimized geometry", "lattice_angstrom": [[2.681, 0.000, 0.000], [0.000, 3.799, 0.000], [0.000, 0.000, 5.364]], "species": ["Ir", "Ru", "Os", "Ru"], "fractional_positions": [[0.000, 0.000, 0.499], [0.000, 0.000, 0.001], [0.500, 0.500, 0.754], [0.500, 0.500, 0.246]], "polymorph_energy_mev_per_atom": 10, "volume_a3_per_atom": 13.66, "ef_ev_per_atom": 0.045, "magmom_total_mub_per_fu": 0.000, "final_energy_ev_per_fu": -42.2}

=====

{"formula": "NdSiPd", "functional": "PBEsol", "state": "optimized geometry", "lattice_angstrom": [[-3.976, -1.407, 1.131], [0.879, -5.825, -4.161], [2.934, -3.666, 5.752]], "species": ["Pd", "Pd", "Si", "Nd", "Pd", "Si", "Pd", "Nd", "Nd", "Nd", "Si", "Si"], "fractional_positions": [[0.250, 0.687, 0.584], [0.250, 0.187, 0.916], [0.750, 0.688, 0.411], [0.750, 0.005, 0.696], [0.750, 0.313, 0.416], [0.250, 0.812, 0.911], [0.750, 0.813, 0.084], [0.750, 0.505, 0.804], [0.250, 0.495, 0.196], [0.250, 0.995, 0.304], [0.750, 0.188, 0.089], [0.250, 0.312, 0.589]], "volume_a3_per_atom": 19.49, "e_form_raw_ev_per_fu": -2.8, "magmom_total_mub_per_fu": 0.000, "final_energy_ev_per_fu": -19.7}

----------

1.
{"formula": "PrPaTeSe", "functional": "PBE", "state": "optimized geometry", "space_group": "F-43m (216)", "mass_density_g_cm3": 9.368, "total_energy_ev_per_cell": -25.06, "e_form_raw_mev_per_atom": -1038.5, "lattice": [[0.000, 3.715, 3.715], [3.715, 0.000, 3.715], [3.715, 3.715, 0.000]], "species": ["Pr", "Pa", "Te", "Se"], "fractional_positions": [[0.000, 0.000, 0.000], [0.500, 0.500, 0.500], [0.750, 0.750, 0.750], [0.250, 0.250, 0.250]]}

---

2.
{"formula": "KSi2Hg", "functional": "PBE", "state": "optimized geometry", "space_group": "Cmmm (65)", "mass_density_g_cm3": 5.485, "total_energy_ev_per_cell": -9.99, "e_form_raw_mev_per_atom": 562.6, "lattice": [[3.067, -5.161, 0.000], [3.067, 5.161, 0.000], [0.000, 0.000, 2.830]], "species": ["K", "Si", "Si", "Hg"], "fractional_positions": [[0.000, 0.000, 0.000], [0.000, 0.500, 0.500], [0.500, 0.000, 0.500], [0.500, 0.500, 0.000]]}

---

3.
{"formula": "Hf2TiBiB", "functional": "PBE", "state": "optimized geometry", "space_group": "P4/mmm (123)", "mass_density_g_cm3": 10.931, "ef_mev_per_atom": -227, "total_energy_ev_per_cell": -39.50, "lattice": [[4.658, 0.000, 0.000], [0.000, 4.658, 0.000], [0.000, 0.000, 4.372]], "species": ["Hf", "Hf", "Ti", "Bi", "B"], "fractional_positions": [[0.000, 0.500, 0.000], [0.500, 0.000, 0.000], [0.000, 0.000, 0.500], [0.500, 0.500, 0.500], [0.000, 0.000, 0.000]]}

---

4.
{"formula": "Y6Mn2Cd", "functional": "PBE", "state": "optimized geometry", "space_group": "Immm (71)", "mass_density_g_cm3": 5.378, "ef_mev_per_atom": -26, "total_energy_ev_per_cell": -116.54, "lattice": [[-4.798, 4.865, 4.998], [4.798, -4.865, 4.998], [4.798, 4.865, -4.998]], "species": ["Y", "Y", "Y", "Y", "Y", "Y", "Y", "Y", "Y", "Y", "Y", "Y", "Mn", "Mn", "Mn", "Mn", "Cd", "Cd"], "fractional_positions": [[0.012, 0.228, 0.783], [0.189, 0.286, 0.475], [0.189, 0.714, 0.903], [0.312, 0.020, 0.708], [0.312, 0.604, 0.292], [0.445, 0.228, 0.217], [0.555, 0.772, 0.783], [0.688, 0.396, 0.708], [0.688, 0.980, 0.292], [0.811, 0.286, 0.097], [0.811, 0.714, 0.525], [0.988, 0.772, 0.217], [0.104, 0.604, 0.500], [0.389, 0.000, 0.389], [0.611, 0.000, 0.611], [0.896, 0.396, 0.500], [0.000, 0.000, 0.000], [0.500, 0.500, 0.000]]}

---

5.